While it's true that deep-fin sailboat keels are the most efficient of all in terms of windward ability, many anchorages will be opened up to those who opt for a shoal draft alternative, accepting the perceptible loss to windward sailing performance.
Another benefit with shoal draught sailboats is the increased security to be had when lying alongside a wall, or laid-up ashore in a cradle.
Sailboat keels serve two purposes:~
1. to provide ballast low down and
2. to provide lateral resistance to the wind force exerted on the sails
And like all things in the sailboat world, there are trade-offs to be made.
But just what are the alternatives? Let's take a look...
These sailboat keels are found on the heavy displacement boats of yesteryear, and are still popular with some long-distance cruising sailors. The Nicholson 32 sketched below is a popular example of a long keel sailboat.
Unlike more modern keels they are built-in as part of the boat's hull construction which, together with encapsulated ballast, makes them extremely robust.
But although well-mannered under sail, such boats are slow and need a large spread of sail to get them moving, especially in light winds. This is largely due to the high wetted area, and consequent drag, of sailboat keels of this type.
In their favour though, long keel sailboats track through the water as if on rails, have a comfortable motion in a seaway and will heave-to readily.
The propeller is protected in an aperture and hulls of this type usually sail over floating fishing gear and pot buoys with impunity.
Close-quarters manoeuvring, such as wriggling in and out of a marina berth, is not their specialty.
These were the natural development of long fin keels which, whilst retaining their positive attributes, greatly improved manoeuvrability due to the separation of the keel and the rudder.
The Contessa 32 sketched here is a highly regarded example of these long-fin and skeg-hung rudder sailboats.
Deep fin keels are manufactured separately from the hull, and are subsequently bolted on. Keel bolts have a justified reputation as being 'suspect', owing to their habit of corroding undetected.
But this type of sailboat keel is more efficient to windward than the previous two keel types, creating more lift and reducing leeway.
All sailboats make some leeway - perhaps just a few degrees - when sailing to windward, which creates an angle of attack between the fin keel and the water flowing past it.
Much like a sail, or indeed an aircraft's wing, this produces an area of low-pressure flow on one side of the foil and high pressure on the other. The keel tends to move into the low-pressure area, conveniently reducing leeway and dragging the boat up to windward.
Retractable keel sailboats, or lifting keel sailboats, types rely on ropes and pulleys - or hydraulic rams in some cases - to retract a steel centreplate into a keel housing. Some types operate vertically and others pivot around a pin at the forward end, like that on the swing-keeler shown here.
**Crystal structures, as found in the file:**
┌──
# 1
Entry from Alexandria via LeMat-Bulk: a relaxed structure of LiNpPa2N4 (PBE-GGA).

VASP energy = -76.893 eV per cell
Formation energy without anion corrections = -9.7 eV/f.u.
Theoretical density = 10.8 Mg/m³

```
LiNpPa2N4
1.0
-3.3716 0.8035 -0.6949
-1.7291 -2.9505 4.9776
1.0471 5.5504 1.3379
Li Np Pa N
1 1 2 4
Direct
0.0000 0.0000 0.0000
0.5000 0.5000 0.0000
0.5000 0.0000 0.5000
0.0000 0.5000 0.5000
0.5000 0.2673 0.2806
0.5000 0.7327 0.7194
0.0000 0.2415 0.7376
0.0000 0.7585 0.2624
```

# 2
Entry from Alexandria via LeMat-Bulk: a relaxed structure of LiPmNp2N4 (PBE-GGA).

VASP energy = -149.672 eV per cell
Formation energy without anion corrections = -9.0 eV/f.u.
Theoretical density = 10.4 Mg/m³

```
LiPmNp2N4
1.0
-2.9290 0.5101 -1.8278
3.4412 -3.5506 -3.1734
-4.6228 -8.8851 4.9284
Li Pm Np N
2 2 4 8
Direct
0.8383 0.6765 0.7500
0.1617 0.3235 0.2500
0.1059 0.2118 0.7500
0.8941 0.7882 0.2500
0.3707 0.7413 0.5577
0.6293 0.2587 0.0577
0.6293 0.2587 0.4423
0.3707 0.7413 0.9423
0.2656 0.5311 0.1105
0.7344 0.4689 0.6105
0.7344 0.4689 0.8895
0.2656 0.5311 0.3895
0.0000 0.0000 0.5000
0.0000 0.0000 0.0000
0.4430 0.8861 0.7500
0.5570 0.1139 0.2500
```

# 3
Entry from Alexandria via LeMat-Bulk: a relaxed structure of LiPmNpN3 (PBE-GGA).

VASP energy = -101.536 eV per cell
Formation energy without anion corrections = -6.2 eV/f.u.
Theoretical density = 8.6 Mg/m³

```
LiPmNpN3
1.0
3.4693 0.0000 0.0000
0.0000 7.0943 0.5475
0.0000 -2.1724 6.5946
Li Pm Np N
2 2 2 6
Direct
0.2500 0.0738 0.5831
0.7500 0.9262 0.4169
0.7500 0.8169 0.7803
0.2500 0.1831 0.2197
0.2500 0.6746 0.1752
0.7500 0.3254 0.8248
0.2500 0.7913 0.4726
0.7500 0.8827 0.1367
0.7500 0.4227 0.1326
0.7500 0.2087 0.5274
0.2500 0.5773 0.8674
0.2500 0.1173 0.8633
```

# 4
Entry from Alexandria via LeMat-Bulk: a relaxed structure of Li2Pm2NpN4 (PBE-GGA).

VASP energy = -67.699 eV per cell
Formation energy without anion corrections = -8.1 eV/f.u.
Theoretical density = 8.4 Mg/m³

```
Li2Pm2NpN4
1.0
-2.3729 -2.1386 1.1231
4.5771 -0.0471 4.4766
-3.6553 4.6039 1.0438
Li Pm Np N
2 2 1 4
Direct
0.3144 0.6288 0.9954
0.6856 0.3712 0.0046
0.8601 0.7202 0.4324
0.1399 0.2798 0.5676
0.0000 0.0000 0.0000
0.7939 0.5879 0.7811
0.2061 0.4121 0.2189
0.4714 0.9429 0.2356
0.5286 0.0571 0.7644
```

# 5
Entry from Alexandria via LeMat-Bulk: a relaxed structure of LiPmNp4N8 (PBE-GGA).

VASP energy = -138.833 eV per cell
Formation energy without anion corrections = -13.8 eV/f.u.
Theoretical density = 9.5 Mg/m³

```
LiPmNp4N8
1.0
-1.9353 0.0112 6.6240
-3.6485 -5.2793 2.5377
2.5176 -4.1654 4.3374
Li Pm Np N
1 1 4 8
Direct
0.0038 0.0038 0.9886
0.3876 0.3876 0.8372
0.6149 0.6149 0.1552
0.0007 0.4975 0.5011
0.4975 0.0007 0.5011
0.0007 0.0007 0.5011
0.2411 0.8101 0.7078
0.8101 0.2411 0.7078
0.2411 0.2411 0.7078
0.2356 0.2356 0.2932
0.7474 0.2127 0.2925
0.2127 0.7474 0.2925
0.7474 0.7474 0.2925
0.7594 0.7594 0.7217
```

# 6
Entry from Alexandria via LeMat-Bulk: a relaxed structure of LiPm2Np3N6 (PBE-GGA).
└──
In some designs a ballast stub keel is retained which contains the keel housing. Others have no stub keel at all and all of the keel housing projects into the boat to some degree, usually to the detriment of the accommodation.
When all goes well, sailboat keels of this type would seem the ideal solution to provide deep draft offshore and shoal draft when navigating in shallow waters.
Another much heralded benefit is the ability to dry out upright, particularly when partnered with a twin rudder design. Nevertheless, some offshore sailors may feel that that the added complexity and possibility of failure outweighs all other advantages.
Most skippers of lifting keel boats that I've spoken to have experienced, or continue to worry about, at least one of the following:
But they have their moments of glory...
For UK yachtsman tempted by the prospect of warm water Mediterranean sailing, but not overly enthused about the exposed passage around the Iberian Peninsular and through the Straits of Gibraltar, a retractable keel sailboat will get him there through the Canal de Garonne and the Canal du Midi.
These are a peculiarly British thing. Nowhere else do they seem to enjoy the same level of popularity.
Along with long-legged birds and wellie-clad bait diggers, bilge keelers are very much at home on tidal mud flats, where drying moorings are much less expensive than the deep water kind.
Apart from their shallow draft, the benefit of a bilge keeler is that these cheap moorings can be enjoyed without falling over - twice a day in fact.
And that's it, as far as I can see. Underway, their high wetted area and lack of low-down ballast can only detract from their sailing performance - and if you inadvertently run aground in one of these, you may be there for a while, since you can't heel the boat to reduce its draft.
But they're very popular here in the UK, so I mustn't be too rude about them.
One way to reduce draft whilst minimising the affect on stability is to provide additional ballast in the form of a lead bulb on the bottom of the keel.
Variations on these types of sailboat keels include torpedoes, the Scheel keel and the wing keel.
Properly designed 'torpedoes' meet this requirement, and providing they don't project forward of the keel's leading edge - where they'll collect pick-up lines, discarded fishing nets and other assorted flotsam and jetsam - are a good solution for offshore yachts.
The Scheel keel, invented by the American designer Henry A Scheel, is said to create additional lift through the converse sections on top of the bulb, and appears on several highly-regarded offshore designs.
Wing keels develop this principle further, but share the same propensity for collecting unwanted hangers-on as the forward projecting torpedo.
Wings increase wetted area, and hence drag, but as well as producing more hydrodynamic lift they do provide a degree of 'damping' in a rolly anchorage.
You'll need to support the boat in slings to anti-foul the underside of the wing, or alternatively employ a diver to scrub it clean at regular intervals.
This is a tandem keel, designed by Warwick Collins back in the 1980's. Essentially a tandem keel comprises two foils and a delta endplate to create a shoal draft keel which is genuinely as effective upwind as a deep keel.
These keels had some success on the racing circuit and were also found on cruising yachts, including Bavarias and Etaps.
At first glance it would seem that the water flow around the forward foil would disrupt the flow around the after one, but this is not the case. Owing to the boat's leeway, both keels operate in laminar flow.
Benefits of the tandem keel include:
So what's not to like? Very little it would seem, although going aground with this (or any wing keel design) is likely to be embarrassing. And of course, they're expensive in comparison to less radical designs.
Mar 09, 25 11:13 AM
Mar 09, 25 08:05 AM
Mar 08, 25 05:55 PM